Now filter the calculation results below: keep the lines with the word "species".
┌──
Entry 1:
15
Properties=species:S:1:pos:R:3:mulliken_charge:R:1 method="wB97M-V/def2-TZVPD" homo_lumo_gap_ev=6.63 total_charge=-1 multiplicity=1 e_above_lowest_kcal_mol=13.8
C 1.51 -0.61 0.64 -0.4548
O 0.30 -0.57 1.36 -0.5150
C 1.79 0.69 -0.06 0.1473
C 2.88 1.42 0.18 -0.7596
H 1.48 -1.44 -0.08 0.2423
H 2.31 -0.80 1.36 0.2514
H -0.43 -0.66 0.66 0.0985
H 1.05 1.01 -0.79 0.2631
H 3.04 2.36 -0.33 0.2499
H 3.62 1.10 0.90 0.2346
C -2.86 0.29 -0.17 -0.6930
S -1.60 -0.74 -1.03 -0.6683
H -2.61 0.38 0.89 0.2098
H -2.99 1.29 -0.58 0.1856
H -3.81 -0.23 -0.26 0.2083


Entry 2:
16
Properties=species:S:1:pos:R:3:mulliken_charge:R:1 method="wB97M-V/def2-TZVPD" homo_lumo_gap_ev=6.75 total_charge=-1 multiplicity=1 e_above_lowest_kcal_mol=19.0
C -0.11 1.60 0.27 -1.4307
C 0.96 -0.55 1.19 -1.6332
C 0.42 -0.42 -1.21 -1.4983
C 0.00 0.06 0.15 1.2450
O -1.61 -2.12 0.36 -0.5676
S -2.65 -0.02 -1.78 -0.6502
S -1.73 -0.65 0.40 0.2553
H -0.57 2.03 -0.63 0.3044
H -0.77 1.87 1.12 0.3410
H 0.95 1.94 0.45 0.3578
H 1.06 -1.55 0.87 0.4368
H 0.71 -0.39 2.25 0.3714
H 1.87 0.07 1.28 0.3841
H 0.08 -1.52 -1.43 0.3525
H -0.14 0.02 -2.04 0.3846
H 1.52 -0.37 -1.25 0.3469


Entry 3:
14
Properties=species:S:1:pos:R:3:mulliken_charge:R:1 method="wB97M-V/def2-TZVPD" homo_lumo_gap_ev=10.50 total_charge=0 multiplicity=1 e_above_lowest_kcal_mol=9.0 smiles=C[C@@H]1P[C@H]1C
C 0.17 1.74 0.81 -1.0918
C -0.56 0.47 0.25 -0.2536
P -0.76 -1.09 1.24 -0.1625
C 0.31 -0.73 -0.12 0.1254
C 0.04 -1.39 -1.44 -1.1174
H 0.47 1.40 1.83 0.2528
H -0.57 2.57 0.80 0.2994
H 0.98 1.94 0.22 0.3343
H -1.46 0.70 -0.40 0.4432
H 0.22 -0.54 2.17 -0.0215
H 1.40 -0.49 -0.03 0.3640
H 0.96 -1.89 -1.94 0.2803
H -0.37 -0.56 -2.10 0.2647
H -0.82 -2.13 -1.29 0.2828


Entry 4:
14
Properties=species:S:1:pos:R:3:mulliken_charge:R:1 method="wB97M-V/def2-TZVPD" homo_lumo_gap_ev=5.60 total_charge=-1 multiplicity=1 e_above_lowest_kcal_mol=25.1
C -1.25 0.94 0.63 -0.5315
S -2.65 -0.21 0.43 -0.7784
H -0.97 1.28 -0.36 0.1303
H -1.41 1.80 1.29 0.2671
H -0.41 0.43 1.11 -0.0822
C 2.04 -1.29 0.20 -1.0162
C 1.95 -0.24 -0.85 0.0897
C 2.63 0.90 -0.97 -0.7323
H 1.57 -0.96 1.13 0.2444
H 1.45 -2.18 -0.01 0.3029
H 3.08 -1.51 0.42 0.3335
H 1.48 -0.48 -1.80 0.2714
H 2.70 1.51 -1.86 0.2634
H 3.32 1.16 -0.16 0.2380


Entry 5:
8
Properties=species:S:1:pos:R:3:mulliken_charge:R:1 method="wB97M-V/def2-TZVPD" homo_lumo_gap_ev="5.95 / 7.14" total_charge=+1 multiplicity=2 e_above_lowest_kcal_mol=23.9
O -1.57 2.39 -0.63 -0.3905
C -0.74 1.59 -0.11 0.5344
C -0.11 0.90 0.70 -0.6175
C 0.51 -1.68 0.37 0.3254
C 0.44 -0.34 0.40 0.1244
O 1.67 -0.97 0.78 -0.1979
Ag 1.06 -4.69 -0.06 0.8186
H -1.25 2.82 -1.44 0.4031


Entry 6:
14
Properties=species:S:1:pos:R:3:mulliken_charge:R:1 method="wB97M-V/def2-TZVPD" homo_lumo_gap_ev="9.09 / 9.09" total_charge=0 multiplicity=1 e_above_lowest_kcal_mol=51.7
B 0.11 -0.21 0.11 0.0312
C -1.34 1.86 -0.67 0.1953
C -1.13 0.73 0.02 -0.0689
C 0.01 -1.84 0.36 0.6506
C 1.48 0.49 -0.61 0.6361
N -1.56 2.84 -1.17 -0.3253
F 0.83 -2.16 1.40 -0.2460
F 0.23 -2.80 -0.58 -0.2417
F -1.19 -2.10 1.02 -0.2464
F 1.10 0.91 -1.85 -0.2521
F 2.06 1.55 0.00 -0.2596
F 2.38 -0.54 -0.68 -0.2365
Br -0.20 0.95 1.83 0.0248
H -2.80 0.31 0.81 0.3385


No. 1
Molecular formula: C29H104N34O29
Method: DFT, wB97M-V/def2-TZVPD

```
! wB97M-V def2-TZVPD RIJCOSX def2/J DEFGRID3
* xyz 0 1
C 1.3447 -3.2689 1.7667
O 1.8330 -2.1654 1.5120
N 0.8356 -4.0763 0.7744
N 1.2753 -3.8339 2.9354
H 0.3918 -4.9822 0.8236
H 1.2458 -3.7586 -0.0921
H 1.9637 -3.4832 3.5859
H 1.0247 -4.8101 3.0005
C -2.5842 4.2291 -2.4891
O -1.4728 4.5295 -2.6656
N -3.5213 5.0611 -2.8823
N -3.0744 3.1760 -1.9301
H -3.2918 5.7640 -3.5703
H -4.4530 5.0386 -2.4930
H -2.4789 2.5497 -1.4072
H -4.0747 3.0406 -1.9642
C 0.3913 -2.9799 -5.8227
O 1.4695 -2.7433 -6.1755
N -0.4587 -3.5468 -6.5117
N -0.0599 -2.9209 -4.5836
H -1.3944 -3.1674 -6.4899
H -0.1583 -3.8618 -7.4231
H -0.9959 -3.2438 -4.3840
H 0.3916 -2.6393 -3.7252
C -0.0858 7.7909 -2.2066
O 0.2632 9.0064 -2.2373
N 0.0966 6.9158 -1.2371
└──
Properties=species:S:1:pos:R:3:mulliken_charge:R:1 method="wB97M-V/def2-TZVPD" homo_lumo_gap_ev=6.63 total_charge=-1 multiplicity=1 e_above_lowest_kcal_mol=13.8
Properties=species:S:1:pos:R:3:mulliken_charge:R:1 method="wB97M-V/def2-TZVPD" homo_lumo_gap_ev=6.75 total_charge=-1 multiplicity=1 e_above_lowest_kcal_mol=19.0
Properties=species:S:1:pos:R:3:mulliken_charge:R:1 method="wB97M-V/def2-TZVPD" homo_lumo_gap_ev=10.50 total_charge=0 multiplicity=1 e_above_lowest_kcal_mol=9.0 smiles=C[C@@H]1P[C@H]1C
Properties=species:S:1:pos:R:3:mulliken_charge:R:1 method="wB97M-V/def2-TZVPD" homo_lumo_gap_ev=5.60 total_charge=-1 multiplicity=1 e_above_lowest_kcal_mol=25.1
Properties=species:S:1:pos:R:3:mulliken_charge:R:1 method="wB97M-V/def2-TZVPD" homo_lumo_gap_ev="5.95 / 7.14" total_charge=+1 multiplicity=2 e_above_lowest_kcal_mol=23.9
Properties=species:S:1:pos:R:3:mulliken_charge:R:1 method="wB97M-V/def2-TZVPD" homo_lumo_gap_ev="9.09 / 9.09" total_charge=0 multiplicity=1 e_above_lowest_kcal_mol=51.7